6 TOP Mistakes that people make when studying for PADI IDC Exams
The Five
The SIX most common mistakes people make
when studying for their PADI IDC Exams.
Mistake No 1.
Learning the WRONG stuff!
The wrong stuff?
REALLY? - How??
Learning the wrong stuff is probably the MOST common mistake of all
Think about it!
All the advice you’ll get:
“You need to brush up on your dive theory and PADI standards”
“Great” you say.
“I’ll get on that right away”
How do you know WHAT subjects to learn?
Just do a quick search on the internet!
The search results are ENDLESS!!

You can easily fill your head with LOADS of:
- Outdated
- Irrelevant
- Inappropriate
- Unnecessary
- Mind Boggling
Solution: My PADI IDC Preparation Course
Whilst I don’t agree to:
“Teaching to the exam”
I DO think that it’s important to stick to the syllabus
The PADI IDC preparation course contains ALL knowledge necessary for the exams
You won’t need any other books, online help or manuals to study
If you’re able to understand the subjects well enough to easily pass the exams, you’re very well prepared to be a modern instructor
Mistake No 2.
Learning in the WRONG order!
The wrong order?
REALLY? - How??
Learning topics in the wrong order makes understanding unnecessarily difficult
Think about it!
Imagine trying to learn algebra if you didn’t know how to do multiplication or division
Imagine trying to learn how to lift an object off the seabed if you didn’t know how to calculate volume
How do you know WHAT subjects to learn before others?
You can easily confuse your head trying to understand subjects before knowing the building blocks
Solution: My PADI IDC Preparation Course
All subjects are in the right order
Once you’ve grasped one topic, you can easily move onto the next
It’s surprising how quickly you can understand even the most difficult subjects
Mistake No 3.
Don't check understanding before moving on!
Check understanding?
REALLY? - How??
When learning stuff, we often grasp the “wrong end of the stick”
Think about it!
Think back to a time when you THOUGHT you understood a subject, but was mistaken
Remember how confusing that was when you tried to apply that knowledge?
Trouble is, when you THINK that you understand the topic, you don’t know if you really do, or if you don’t
Solution: My PADI IDC Preparation Course
Every topic is followed by a Quick Quiz
You can easily just check your understanding
Each Quick Quiz covers the important parts of the previous lesson
You can easily go back and refresh your knowledge if you need
IN ADDITION the course has FIVE MOCK EXAMS that cover all theory subjects
Each exam is a replica in format and content to the exams you’ll find on your Final PADI IE
Mistake No 4.
Trying to LEARN PADI Standards
But…. but…. we have to do a Standards Exam don’t we?
How do I prepare for the PADI Standards Exam?
You DON’T need to learn PADI standards
Think about it!
Why do we have a PADI instructor manual?
All PADI standards exams are “Open Book”
That means that you can use the manual to look up the answers
Problem is: You need to know your way around the PADI instructor manual
You can use the search function on your device, but you still need lots of practice
The more you know about standards, and the manual, the more efficient you’ll be at passing exams AND more efficient you’ll be as a PADI Instructor
Solution: My PADI IDC Preparation Course
The PADI IDC Preparation Course has FIVE mock standards exams
Each exam has 50 questions – just like the standards exams on your final PADI IE
You can check your answers
EVERY answer points to the page in your current instructor manual where you’ll find the material
This gives you plenty of practice!
Mistake No 5.
Using an OLD Manual
Really? An OLD instructor manual?
Yes! You'll be surprised!
You’ll be surprised how many people use last year’s manual
Inserted here: data records:
- - -
No. 1
BeSbH | PBE-GGA | relaxed

Properties
Energy above the lowest structure with this stoichiometry   0.079 eV/atom

a b c (Å): 4.1676 4.9092 5.8087
angles (deg): 72.38 70.83 88.70
Atoms (fractional coordinates):
Be 0.7165 0.8819 0.6171
Be 0.1977 0.9589 0.7466
Sb 0.5476 0.3288 0.3150
Sb 0.1222 0.9695 0.1971
H 0.8376 0.9318 0.8048
H 0.3943 0.7054 0.7442


No. 2
AlCdCo | PBE-GGA | relaxed

Properties
Energy above the lowest structure with this stoichiometry   0.184 eV/atom

a b c (Å): 2.8879 2.8879 6.5812
angles (deg): 90.00 90.00 120.00
Atoms (fractional coordinates):
Al 0.0000 0.0000 0.9564
Co 0.3333 0.6667 0.6904
Cd 0.6667 0.3333 0.3532


No. 3
GaRe2Si2 | PBE-GGA | relaxed

Properties
Energy above the lowest structure with this stoichiometry   0.249 eV/atom
Formation energy without anion corrections   0.1451 eV/atom

a b c (Å): 7.3445 7.3445 2.7439
angles (deg): 90.00 90.00 90.00
Atoms (fractional coordinates):
Si 0.8644 0.6356 0.0000
Si 0.1356 0.3644 0.0000
Si 0.3644 0.8644 0.0000
Si 0.6356 0.1356 0.0000
Re 0.8415 0.3415 0.5000
Re 0.6585 0.8415 0.5000
Re 0.1585 0.6585 0.5000
Re 0.3415 0.1585 0.5000
Ga 0.0000 0.0000 0.0000
Ga 0.5000 0.5000 0.0000


No. 4
Sm8Ir2Ru | PBE-GGA | relaxed

Properties
Energy above the lowest structure with this stoichiometry   0.000 eV/atom

a b c (Å): 4.9428 6.9791 9.2087
angles (deg): 105.02 105.57 90.00
Atoms (fractional coordinates):
Sm 0.9698 0.2091 0.9397
Sm 0.4057 0.5456 0.8114
Sm 0.6671 0.9658 0.3341
Sm 0.7961 0.6852 0.5923
Sm 0.2039 0.3148 0.4077
Sm 0.5943 0.4544 0.1886
Sm 0.3329 0.0342 0.6659
Sm 0.0302 0.7909 0.0603
Ir 0.1888 0.7079 0.3776
Ir 0.8112 0.2921 0.6224
Ru 0.5000 0.0000 0.0000


No. 5
PmNdSm2 | PBE-GGA | relaxed

Properties
Energy above the lowest structure with this stoichiometry   0.015 eV/atom

a b c (Å): 3.6475 3.6475 10.3110
angles (deg): 90.00 90.00 90.00
Atoms (fractional coordinates):
Sm 0.0000 0.0000 0.7490
Sm 0.0000 0.0000 0.2510
Nd 0.5000 0.5000 0.0000
Pm 0.5000 0.5000 0.5000


No. 6
Si2BW | PBE-GGA | relaxed

Properties
Formation energy without anion corrections   0.4779 eV/atom

a b c (Å): 6.3311 6.3311 5.1268
angles (deg): 51.87 51.87 90.00
Atoms (fractional coordinates):
Si 0.5500 0.1250 0.2500
Si 0.8750 0.8000 0.7500
Si 0.3750 0.4500 0.7500
Si 0.2000 0.6250 0.2500
W 0.7500 0.2500 0.5000
W 0.0000 0.0000 0.0000
B 0.2500 0.7500 0.5000
B 0.5000 0.5000 0.0000


No. 7
Zn3GaSn | PBE-GGA | relaxed

Properties
Energy above the lowest structure with this stoichiometry   0.188 eV/atom

a b c (Å): 5.2115 5.2115 5.2115
angles (deg): 90.00 90.00 90.00
Atoms (fractional coordinates):
Ga 0.5000 0.5000 0.5000
Zn 0.0000 0.5000 0.0000
Zn 0.0000 0.0000 0.5000
Zn 0.5000 0.0000 0.0000
Sn 0.0000 0.0000 0.0000


No. 8
LiLuMnRh | PBE-GGA | relaxed

a b c (Å): 4.5719 4.5719 4.5719
angles (deg): 60.00 60.00 60.00
Atoms (fractional coordinates):
Li 0.0000 0.0000 0.0000
Rh 0.5000 0.5000 0.5000
Lu 0.2500 0.2500 0.2500
Mn 0.7500 0.7500 0.7500


No. 9
Tl3GePb | PBE-GGA | relaxed

Properties
- - -
Or the year’s before
Or even the year’s before that!
If you’re going to be a modern PADI Instructor
Please download the current PADI instructor manual from their website
Solution: My PADI IDC Preparation Course
OK, it’s not a solution to not having the current PADI instructor manual
But the standards section, including all page numbers are from this year’s manual
EVERY answer points to the page in your current instructor manual where you’ll find the material
Mistake No 6.
Learning in the SAME OLD way
That doesn’t work for you
REALLY? - How??
When learning PADI stuff, have you noticed that it’s ALWAYS presented in a similar way?
Think about it!
Did you read the Divemaster manual?
Did you read the Open Water manual?
Did you look in the Diving Knowledge Workbook?
Did you look in the Encylcopedia?
Did you look at random internet sites?
Did you buy the PADI theory program?
Did you notice anything in common?
Did you notice that they all follow the SAME process?
It’s like there’s a PADI way of putting the information across
So, if you didn’t understand it the first time around, you’re not going to understand it no matter how often you see it presented again in the same way
Solution: My PADI IDC Preparation Course
There is NO POINT in trying to teach you in a way that we already know doesn’t work for you
The subjects are presented in a unique and simple way
Easy to understand and DIFFERENT to the usual ways
You’ll be able to teach the subjects using the same methods
Hundreds of past IDC candidates have found the program refreshing
Relieve the stress!
What people say about the online courses
- “Brilliant, logical and ultimately will encourage more people to continue their journey. All too often confined sessions are unfortunately more about the instructor than the student. Thank you.”
- “You won’t regret it at all, Prior Knowledge helps take a lot of the dark confusion away and makes the complicated, simple and enjoyable. Enjoy it and good luck.”
- “The BEST physics prep you can get.”
- “love the way you teach
- “Honestly, just do it ,it’s the best preparation you can have.”
- “Just finishing taking my staff instructor, you are inspired me even more that I am already, I didn’t think it was possible, great videos, I will use them and watch them all, such useful videos, again I am inspired, thanks so much, so useful :)”
Meet Steve Prior

Steve Prior
Steve became a PADI Course Director back in October 2000.
Over the years he developed many techniques that helped people pass PADI Dive Theory and PADI Standards exams.
For example, his YouTube channel has over 5000 subscribers and over 450,000 views. And his Distance Learning program and online course helps people from all over the world become confident with PADI exams.
Coaching Academy
In addition to teaching PADI Dive Theory and Standards, Steve has developed a Coaching Academy for PADI professionals, which focuses on natural ways for people to learn and to teach.
Platinum Award
He has taught over 5500 PADI certifications and reached the prestigious “Platinum Status” for 12 consecutive years. You’ll see on the videos, he is just as passionate now as he ever was.